My family gathered in his living room, and my gaze zeroed in on Mac. He watched me, almost predatory, from his seat on the recliner, and I quickly looked away as Lachlan and Robyn stood to greet me. They’d already seen Regan, so I was lucky enough to be showered with all their affection.

“I hope you enjoyed your honeymoon, despite all this crap,” I said apologetically.

“Don’t worry about it,” Robyn assured me. “We had a great time.”

“Though we were eager to get home by the time we found out what was happening here,” Lachlan admitted. “Robyn plagued me about five times a day to change our flight, and nothing but sex would shut her up. It was exhausting.”

Robyn shot him a dirty look, and he flashed her a wicked grin.

“It sounds like you were very worried,” I observed dryly.

My brother’s wife was serious as she said, “We really were. I’m glad we’re home. Let’s talk about it.” She gestured to the massive corner sofa occupied by Thane, Regan, and Arran.

“Can I get you a drink, Arro?” Lachlan offered.

“I’m all right, thanks.”

Ignoring Mac’s penetrating gaze, I sat down on the sofa and was joined by Robyn. Lachlan took the armchair next to Mac’s recliner.

“Oh.” My eldest brother got up again and reached into his back pocket, pulling out a fob. “Before I forget.” He handed it to me, and I took it as he explained, “Black Defender outside is yours to use until you get yours back from the police.”

“Thanks.” I smiled gratefully. “They said by the end of the week, so I can return this to you then.”

# Unrelated to this page: materials data
~~~
# 1
The following is a computed X-ray powder pattern of CaMn6O5F7. It was derived from a crystal structure in the Materials Project, relaxed with GGA+U, using a wavelength of 1.5418 Å.

Lattice parameters (Å, degrees): 6.4418 6.4418 6.5860 100.64 100.64 63.52
Fractional coordinates of all 19 atoms:
1 Ca 0.0000 0.0000 0.0000
2 Mn 0.9999 0.4785 0.8826
3 Mn 0.1271 0.5728 0.3584
4 Mn 0.4272 0.8729 0.6416
5 Mn 0.5131 0.4869 0.0000
6 Mn 0.5215 0.0001 0.1174
7 Mn 0.7168 0.2832 0.5000
8 O 0.2059 0.6153 0.0951
9 O 0.3847 0.7941 0.9049
10 O 0.4329 0.5671 0.5000
11 O 0.6739 0.2335 0.1878
12 O 0.7665 0.3261 0.8122
13 F 0.0194 0.9806 0.5000
14 F 0.1639 0.2329 0.1706
15 F 0.3428 0.2056 0.8201
16 F 0.5287 0.0171 0.4486
17 F 0.7671 0.8361 0.8294
18 F 0.7944 0.6572 0.1799
19 F 0.9829 0.4713 0.5514

Principal peaks in the range 10 to 80 degrees two-theta, in order of rising 2θ:
- 4.635 Å, 2θ 19.1, I 49
- 3.391 Å, 2θ 26.3, I 44
- 3.155 Å, 2θ 28.3, I 37
- 3.064 Å, 2θ 29.1, I 75
- 2.999 Å, 2θ 29.8, I 35
- 2.863 Å, 2θ 31.2, I 50
- 2.737 Å, 2θ 32.7, I 93
- 2.673 Å, 2θ 33.5, I 100
- 2.639 Å, 2θ 34.0, I 55
- 1.956 Å, 2θ 46.4, I 32

***

# 2
The following is a computed X-ray powder pattern of Ba3FeRu2O9. It was derived from a crystal structure in the Materials Project, relaxed with GGA+U, using a wavelength of 1.5418 Å.

Lattice parameters (Å, degrees): 5.8125 5.8125 14.1390 90.00 90.00 120.00
Fractional coordinates of all 30 atoms:
1 Ba 0.0000 0.0000 0.2500
2 Ba 0.0000 0.0000 0.7500
3 Ba 0.3333 0.6667 0.0890
4 Ba 0.3333 0.6667 0.4110
5 Ba 0.6667 0.3333 0.5890
6 Ba 0.6667 0.3333 0.9110
7 Fe 0.0000 0.0000 0.0000
8 Fe 0.0000 0.0000 0.5000
9 Ru 0.3333 0.6667 0.6603
10 Ru 0.3333 0.6667 0.8397
11 Ru 0.6667 0.3333 0.1603
12 Ru 0.6667 0.3333 0.3397
13 O 0.0179 0.5090 0.7500
14 O 0.1686 0.3371 0.5822
15 O 0.1686 0.3371 0.9178
16 O 0.1686 0.8314 0.5822
17 O 0.1686 0.8314 0.9178
18 O 0.3371 0.1686 0.0822
19 O 0.3371 0.1686 0.4178
20 O 0.4910 0.5090 0.7500
21 O 0.4910 0.9821 0.7500
22 O 0.5090 0.0179 0.2500
23 O 0.5090 0.4910 0.2500
24 O 0.6629 0.8314 0.5822
25 O 0.6629 0.8314 0.9178
26 O 0.8314 0.1686 0.0822
27 O 0.8314 0.1686 0.4178
28 O 0.8314 0.6629 0.0822
29 O 0.8314 0.6629 0.4178
30 O 0.9821 0.4910 0.2500

Principal peaks in the range 10 to 80 degrees two-theta, in order of rising 2θ:
- 3.440 Å, 2θ 25.9, I 26
- 2.906 Å, 2θ 30.8, I 100
- 2.893 Å, 2θ 30.9, I 52
- 2.465 Å, 2θ 36.4, I 18
- 2.220 Å, 2θ 40.6, I 21
- 2.050 Å, 2θ 44.2, I 32
- 1.880 Å, 2θ 48.4, I 12
- 1.875 Å, 2θ 48.6, I 11
- 1.677 Å, 2θ 54.7, I 40
- 1.453 Å, 2θ 64.1, I 19

~~~~~

Computed powder diffractogram
Compound: Li7P3S11
Radiation: CuKα
Structure: a PBE-relaxed structure

Structural model:
Cell: 6.3231 12.4042 12.5598 Å, 107.62 102.80 102.27°
Space group P-1 (No. 2)
Inequivalent atoms, fractional coordinates:
Li (0.0895, 0.3642, 0.3831) (multiplicity 2)
Li (0.1957, 0.6768, 0.2013) (multiplicity 2)
Li (0.2030, 0.8287, 0.9995) (multiplicity 2)
Li (0.2449, 0.1681, 0.5975) (multiplicity 2)
~~~

“Maybe see how you like driving it first.” Lachlan sat back down. “It’s safer than your old one.”

I had a sentimental attachment to my Defender, which we both knew. “I can’t get rid of Dad’s car.”

Lachlan gave me a smile that didn’t quite reach his eyes. “We’d put it in storage. I just want you safe.”

“It is safe,” I insisted gently.

“This one is safer and it would make your big brother sleep better at night knowing you’re in a safe vehicle.”

Damn him. He pulled out the big guns there.

“We’ll talk about that later,” Robyn said, drawing my focus. Her expression was hard, determined, and I recognized it from when she was investigating Mac’s stabbing. “Any word from the police regarding prints?”

“No prints so far. They want to do a few more interior checks, but I don’t think whoever did this broke into my car.”

(Calculated crystals, kept here for reference)
+++
For TaCr4Cu, a crystal structure in Alexandria, relaxed with GGA-PBE gives the theoretical X-ray powder pattern in this record (Cu Kα (weighted mean of Kα1 and Kα2)).
Peak positions follow from Bragg's law for the DFT cell and can differ from measured ones.

Peak list (10 most intense, 15 to 90 degrees two-theta, by angle)
d = 3.925 Å, 22.7°, intensity 22, hkl 1 1 1
d = 3.399 Å, 26.2°, intensity 14, hkl 2 0 0
d = 2.403 Å, 37.4°, intensity 58, hkl 2 2 0
d = 2.050 Å, 44.2°, intensity 100, hkl 3 1 1
d = 1.962 Å, 46.3°, intensity 19, hkl 2 2 2
d = 1.560 Å, 59.2°, intensity 6, hkl 3 3 1
d = 1.520 Å, 60.9°, intensity 6, hkl 4 2 0
d = 1.388 Å, 67.5°, intensity 20, hkl 4 2 2
d = 1.308 Å, 72.2°, intensity 29, hkl 5 1 1
d = 1.202 Å, 79.8°, intensity 20, hkl 4 4 0

Cell and atoms:
```
data_TaCr4Cu
_chemical_formula_sum 'Ta4 Cr16 Cu4'
_space_group_name_H-M_alt 'F -4 3 m'
_space_group_IT_number 216
_space_group_name_Hall 'F -4 2 3'
_cell_length_a 6.7981
_cell_length_b 6.7981
_cell_length_c 6.7981
_cell_angle_alpha 90.00
_cell_angle_beta 90.00
_cell_angle_gamma 90.00
loop_
_atom_site_label
_atom_site_fract_x
_atom_site_fract_y
_atom_site_fract_z
Ta1 0.0000 0.0000 0.0000
Cr1 0.1245 0.1245 0.3755
Cu1 0.2500 0.2500 0.7500
+++

“We need to think about where this is going next,” Mac put in, and I forced myself to look at him. Our eyes met and held, his roiling with emotion I didn’t want to contemplate. “The next note,” he continued, his voice a wee bit gruffer than before, “was WHY WON’T YOU SEE ME? It was written on Post-it notes all over Lachlan’s stage office. It’s when the tone of the notes changed.”

“But should we be looking at this from the same perspective as before?” Regan asked. “I mean, this could just be some asshole playing a prank.”

The piece is interrupted by crystal structures >
(1)
# TiAl2
Simulated powder diffractogram, Cu Kα X-rays. Input: a crystal structure in the Materials Project, relaxed with GGA-PBE.

Principal peaks in the range 2θ from 10° to 80°, by intensity:
- 39.05 deg, I 100
- 45.30 deg, I 16
- 44.73 deg, I 15
- 46.18 deg, I 15
- 79.43 deg, I 11
- 66.68 deg, I 10
- 78.61 deg, I 10
- 65.55 deg, I 9
- 66.24 deg, I 9
- 22.20 deg, I 5

Atomic structure:
abc: 6.3886 6.3886 4.0039
angles: 90.00 90.00 144.16
Positions (direct):
Ti 0.1560 0.8440 0.0000
Ti 0.8440 0.1560 0.0000
Al 0.0000 0.0000 0.5000
Al 0.3271 0.6729 0.5000
Al 0.5000 0.5000 0.0000
Al 0.6729 0.3271 0.5000

***

(2)
# Er3Mn3Ga2Ge
Simulated powder diffractogram, Cu Kα X-rays. Input: a crystal structure in the Materials Project, relaxed with GGA-PBE.

Principal peaks in the range 2θ from 10° to 80°, by intensity:
- 33.58 deg, I 100
- 36.71 deg, I 93
- 38.75 deg, I 39
- 58.76 deg, I 32
- 44.78 deg, I 25
- 29.05 deg, I 22
- 25.09 deg, I 22
- 60.68 deg, I 20
- 70.73 deg, I 20
- 53.76 deg, I 19

Atomic structure:
abc: 7.0993 7.0993 4.0482
angles: 90.00 90.00 120.00
Positions (direct):
Er 0.0000 0.4133 0.0000
Er 0.4133 0.0000 0.0000
Er 0.5867 0.5867 0.0000
Mn 0.0000 0.7665 0.5000
Mn 0.2335 0.2335 0.5000
Mn 0.7665 0.0000 0.5000
Ga 0.3333 0.6667 0.5000
Ga 0.6667 0.3333 0.5000
Ge 0.0000 0.0000 0.0000

***

(3)
# Ba2MgReO6
Simulated powder diffractogram, Cu Kα X-rays. Input: a crystal structure in the Materials Project, relaxed with GGA-PBE.

Principal peaks in the range 2θ from 10° to 80°, by intensity:
- 30.91 deg, I 100
- 54.97 deg, I 40
- 18.78 deg, I 31
- 44.27 deg, I 31
- 64.41 deg, I 19
- 73.14 deg, I 18
- 36.41 deg, I 16
- 48.49 deg, I 7
- 58.62 deg, I 6
- 67.74 deg, I 6

Atomic structure:
abc: 5.7864 5.7864 5.7864
angles: 60.00 60.00 60.00
Positions (direct):
Ba 0.2500 0.2500 0.2500
Ba 0.7500 0.7500 0.7500
Mg 0.0000 0.0000 0.0000
Re 0.5000 0.5000 0.5000
O 0.2612 0.2612 0.7388
O 0.2612 0.7388 0.2612
O 0.2612 0.7388 0.7388
O 0.7388 0.2612 0.2612
O 0.7388 0.2612 0.7388
O 0.7388 0.7388 0.2612

***

(4)
# Y3Ru2
Simulated powder diffractogram, Cu Kα X-rays. Input: a crystal structure in the Materials Project, relaxed with GGA-PBE.

Principal peaks in the range 2θ from 10° to 80°, by intensity:
- 30.03 deg, I 100
- 33.00 deg, I 79
- 40.92 deg, I 67
- 35.91 deg, I 50
- 64.48 deg, I 45
- 40.78 deg, I 41
- 40.37 deg, I 34
- 53.20 deg, I 32
- 23.29 deg, I 24
- 64.15 deg, I 22

Atomic structure:
abc: 7.6397 7.6397 4.7475
angles: 90.00 90.00 120.00
Positions (direct):
Y 0.0782 0.3830 0.2500
Y 0.3048 0.9218 0.2500
Y 0.3830 0.3048 0.7500
Y 0.6170 0.6952 0.2500
Y 0.6952 0.0782 0.7500
Y 0.9218 0.6170 0.7500
Ru 0.0000 0.0000 0.0000
Ru 0.0000 0.0000 0.5000
Ru 0.3333 0.6667 0.7500
Ru 0.6667 0.3333 0.2500

***

(5)
# K2RbInCl6
Simulated powder diffractogram, Cu Kα X-rays. Input: a crystal structure in the Materials Project, relaxed with GGA-PBE.

Principal peaks in the range 2θ from 10° to 80°, by intensity:
- 31.88 deg, I 100
- 22.39 deg, I 98
- 15.78 deg, I 92

“That’s true,” Arran agreed.

“Yeah, it could be.” Robyn nodded. “But considering what this family has been through this past year, we need to be extra cautious. For now, we’re taking this seriously, so I want suspects.”

“I’m with Robyn,” Mac said.

I didn’t look at him this time. It was too difficult to stay numb when I looked at him.

“Suspects, then?” Lachlan asked. “Thoughts, Arro?”

“I can’t think of anyone specific.”

“There’s that Duncan guy,” Arran said.

“Duncan?” Mac’s voice was like a whip.